### Exercise
Now find "Cell: 9.7330" and "0.1080 0.8920" in the contents underneath, and copy these two lines and those between.

### Excerpt
┌──
No. 1
Compound: Fe3P3O11
Source: the Materials Project
Functional: GGA+U
Structure: relaxed

Results
Crystal system: monoclinic
Space group: P2_1/c, No. 14

Cell: 9.7330 9.7372 10.5540 Å, 90.00 119.97 90.00°
Fractional coordinates of all 68 atoms:
Fe 0.0813 0.1293 0.2672
Fe 0.0813 0.3707 0.7672
Fe 0.1117 0.6371 0.6227
Fe 0.1117 0.8629 0.1227
Fe 0.2717 0.1240 0.6328
Fe 0.2717 0.3760 0.1328
Fe 0.7283 0.6240 0.8672
Fe 0.7283 0.8760 0.3672
Fe 0.8883 0.1371 0.8773
Fe 0.8883 0.3629 0.3773
Fe 0.9187 0.6293 0.2328
Fe 0.9187 0.8707 0.7328
P 0.1058 0.6614 0.9383
P 0.1058 0.8386 0.4383
P 0.2362 0.0853 0.9285
P 0.2362 0.4147 0.4285
P 0.4061 0.0713 0.2418
P 0.4061 0.4287 0.7418
P 0.5939 0.5713 0.2582
P 0.5939 0.9287 0.7582
P 0.7638 0.5853 0.5715
P 0.7638 0.9147 0.0715
P 0.8942 0.1614 0.5617
P 0.8942 0.3386 0.0617
O 0.0594 0.2140 0.5819
O 0.0594 0.2860 0.0819
O 0.0833 0.0147 0.9136
O 0.0833 0.4853 0.4136
O 0.1017 0.7239 0.8002
O 0.1017 0.7761 0.3002
O 0.1207 0.5022 0.9432
O 0.1207 0.9978 0.4432
O 0.2321 0.2430 0.9462
O 0.2321 0.2570 0.4462
O 0.2323 0.7251 0.0811
O 0.2323 0.7749 0.5811
O 0.2573 0.0227 0.2471
O 0.2573 0.4773 0.7471
O 0.2647 0.0416 0.8056
O 0.2647 0.4584 0.3056
O 0.3783 0.0290 0.0803
O 0.3783 0.4710 0.5803
O 0.4150 0.2275 0.2529
O 0.4150 0.2725 0.7529
O 0.4468 0.0075 0.6523
O 0.4468 0.4925 0.1523
O 0.5532 0.5075 0.8477
O 0.5532 0.9925 0.3477
O 0.5850 0.7275 0.2471
O 0.5850 0.7725 0.7471
O 0.6217 0.5290 0.4197
O 0.6217 0.9710 0.9197
O 0.7353 0.5416 0.6944
O 0.7353 0.9584 0.1944
O 0.7427 0.5227 0.2529
O 0.7427 0.9773 0.7529
O 0.7677 0.2251 0.4189
O 0.7677 0.2749 0.9189
O 0.7679 0.7430 0.5538
O 0.7679 0.7570 0.0538
O 0.8793 0.0022 0.5568
O 0.8793 0.4978 0.0568
O 0.8983 0.2239 0.6998
O 0.8983 0.2761 0.1998
O 0.9167 0.5147 0.5864
O 0.9167 0.9853 0.0864
O 0.9406 0.7140 0.9181
O 0.9406 0.7860 0.4181

***

No. 2
Compound: Fe2PO5
Source: the Materials Project
Functional: GGA+U
Structure: relaxed

Results
ΔE to the lowest computed polymorph (eV per formula unit): 0.00
Crystal system: monoclinic
Space group: C2/c, No. 15

Cell: 5.4401 5.4401 7.3279 Å, 111.45 111.45 90.16°
Fractional coordinates of all 16 atoms:
Fe 0.0000 0.0000 0.0000
Fe 0.0000 0.0000 0.5000
Fe 0.0000 0.5000 0.0000
Fe 0.5000 0.0000 0.5000
P 0.3728 0.6272 0.7500
P 0.6272 0.3728 0.2500
O 0.1080 0.8920 0.2500
O 0.2168 0.7085 0.8971
O 0.2915 0.7832 0.6029
O 0.3043 0.3199 0.6278
O 0.3199 0.3043 0.1278
O 0.6801 0.6957 0.8722
O 0.6957 0.6801 0.3722
O 0.7085 0.2168 0.3971
O 0.7832 0.2915 0.1029
O 0.8920 0.1080 0.7500

***

Energy of formation from the pure elements for the records above, in order: -2328, -2176 meV per atom
└──

### Response
Cell: 9.7330 9.7372 10.5540 Å, 90.00 119.97 90.00°
Fractional coordinates of all 68 atoms:
Fe 0.0813 0.1293 0.2672
Fe 0.0813 0.3707 0.7672
Fe 0.1117 0.6371 0.6227
Fe 0.1117 0.8629 0.1227
Fe 0.2717 0.1240 0.6328
Fe 0.2717 0.3760 0.1328
Fe 0.7283 0.6240 0.8672
Fe 0.7283 0.8760 0.3672
Fe 0.8883 0.1371 0.8773
Fe 0.8883 0.3629 0.3773
Fe 0.9187 0.6293 0.2328
Fe 0.9187 0.8707 0.7328
P 0.1058 0.6614 0.9383
P 0.1058 0.8386 0.4383
P 0.2362 0.0853 0.9285
P 0.2362 0.4147 0.4285
P 0.4061 0.0713 0.2418
P 0.4061 0.4287 0.7418
P 0.5939 0.5713 0.2582
P 0.5939 0.9287 0.7582
P 0.7638 0.5853 0.5715
P 0.7638 0.9147 0.0715
P 0.8942 0.1614 0.5617
P 0.8942 0.3386 0.0617
O 0.0594 0.2140 0.5819
O 0.0594 0.2860 0.0819
O 0.0833 0.0147 0.9136
O 0.0833 0.4853 0.4136
O 0.1017 0.7239 0.8002
O 0.1017 0.7761 0.3002
O 0.1207 0.5022 0.9432
O 0.1207 0.9978 0.4432
O 0.2321 0.2430 0.9462
O 0.2321 0.2570 0.4462
O 0.2323 0.7251 0.0811
O 0.2323 0.7749 0.5811
O 0.2573 0.0227 0.2471
O 0.2573 0.4773 0.7471
O 0.2647 0.0416 0.8056
O 0.2647 0.4584 0.3056
O 0.3783 0.0290 0.0803
O 0.3783 0.4710 0.5803
O 0.4150 0.2275 0.2529
O 0.4150 0.2725 0.7529
O 0.4468 0.0075 0.6523
O 0.4468 0.4925 0.1523
O 0.5532 0.5075 0.8477
O 0.5532 0.9925 0.3477
O 0.5850 0.7275 0.2471
O 0.5850 0.7725 0.7471
O 0.6217 0.5290 0.4197
O 0.6217 0.9710 0.9197
O 0.7353 0.5416 0.6944
O 0.7353 0.9584 0.1944
O 0.7427 0.5227 0.2529
O 0.7427 0.9773 0.7529
O 0.7677 0.2251 0.4189
O 0.7677 0.2749 0.9189
O 0.7679 0.7430 0.5538
O 0.7679 0.7570 0.0538
O 0.8793 0.0022 0.5568
O 0.8793 0.4978 0.0568
O 0.8983 0.2239 0.6998
O 0.8983 0.2761 0.1998
O 0.9167 0.5147 0.5864
O 0.9167 0.9853 0.0864
O 0.9406 0.7140 0.9181
O 0.9406 0.7860 0.4181

***

No. 2
Compound: Fe2PO5
Source: the Materials Project
Functional: GGA+U
Structure: relaxed

Results
ΔE to the lowest computed polymorph (eV per formula unit): 0.00
Crystal system: monoclinic
Space group: C2/c, No. 15

Cell: 5.4401 5.4401 7.3279 Å, 111.45 111.45 90.16°
Fractional coordinates of all 16 atoms:
Fe 0.0000 0.0000 0.0000
Fe 0.0000 0.0000 0.5000
Fe 0.0000 0.5000 0.0000
Fe 0.5000 0.0000 0.5000
P 0.3728 0.6272 0.7500
P 0.6272 0.3728 0.2500
O 0.1080 0.8920 0.2500